• Entries:
- - -
For Lu6FeBi2, DFT lattice parameters and positions (PBE) gives the theoretical powder X-ray diffraction pattern in this record (Cu Kα X-rays).
Lines closer than 0.1° are merged.

Structure:
a b c (Å): 8.1420 8.1420 4.1136
angles (deg): 90.00 90.00 120.00
Space group P-62m (No. 189)
One atom of each set of equivalent atoms:
Lu: 0.0000 0.2303 0.0000 [3 per cell]
Lu: 0.0000 0.6164 0.5000 [3 per cell]
Fe: 0.0000 0.0000 0.5000 [1 per cell]
Bi: 0.3333 0.6667 0.0000 [2 per cell]

The 6 most intense peaks (2θ = 5–70°), low angle first:
Position (°2θ), I (rel.)
30.9, 100
33.5, 46
- - -
• Brief:
It remains to retype the lines earlier on from the one with "Structure:" to the one with "8.1420 4.1136" without additions.
• Solution:
Structure:
a b c (Å): 8.1420 8.1420 4.1136